ABSolEU - Paving the way for an ABS recycling revolution in the EU
(Someone pasted calculated molecules at this point)
Molecular formula: C4H14N2O
Method: DFT, the ωB97M-V functional and the def2-TZVPD basis

Values from the calculation:
ΔE to the lowest compared entry with this formula, charge and spin: 2.302 eV
Highest occupied orbital energy: -8.4264 eV

```
! wB97M-V def2-TZVPD RIJCOSX def2/J DEFGRID3
* xyz 0 1
C -2.117 1.112 0.175
C -0.651 1.389 0.263
C 0.268 0.320 -0.300
N 1.356 0.165 0.757
C 1.280 0.444 -1.517
N 1.924 -0.826 -1.717
H -2.453 1.070 -0.845
H -2.331 0.096 0.613
H -2.752 1.833 0.822
H -0.481 1.555 1.396
H -0.396 2.414 -0.084
H -0.246 -0.629 -0.465
H 0.921 -0.072 1.593
H 1.996 -0.561 0.682
H 0.810 0.787 -2.498
H 2.030 1.264 -1.200
H 1.374 -1.482 -2.140
H 2.929 -0.851 -1.853
O -1.693 -1.973 1.814
H -1.320 -2.883 1.930
H -2.181 -1.722 2.527
*
```

Molecular formula: C27H36Br2CuGeIN3OSe
Method: DFT, the ωB97M-V functional and the def2-TZVPD basis

Values from the calculation:
Expectation value of S²: 0.772
ΔE to the lowest compared entry with this formula, charge and spin: 0.353 eV
Highest occupied orbital energy (alpha / beta): -4.6906 / -7.8717 eV

```
! wB97M-V def2-TZVPD RIJCOSX def2/J DEFGRID3
* xyz 0 2
Cu -0.023 0.150 0.302
Br -4.800 4.077 -1.598
C -3.602 2.843 -0.808
C -2.445 3.330 -0.153
C -1.592 2.385 0.341
N -1.764 1.045 0.283
C -2.977 0.588 -0.218
C -3.865 1.514 -0.837
C -3.383 -0.766 -0.016
C -4.482 -1.327 -0.734
C -4.931 -2.566 -0.390
Br -6.377 -3.337 -1.345
C -4.338 -3.295 0.647
C -3.237 -2.700 1.240
N -2.743 -1.508 0.931
H -2.235 4.384 -0.061
H -0.671 2.714 0.810
H -4.788 1.165 -1.276
H -4.938 -0.803 -1.561
H -4.706 -4.260 0.957
H -2.705 -3.240 2.020
C 1.124 -0.442 2.980
C 2.164 -0.943 1.970
C 3.249 0.133 1.851
C 1.530 -1.042 0.553
C 2.755 -2.275 2.445
C 2.004 -3.150 3.233
C 2.492 -4.399 3.596
C 3.753 -4.806 3.186
C 4.523 -3.939 2.424
C 4.030 -2.692 2.066
H 0.877 0.598 2.756
H 1.507 -0.494 4.002
H 0.188 -1.002 2.931
H 2.794 1.046 1.468
H 4.034 -0.141 1.146
H 3.710 0.333 2.821
H 2.303 -1.081 -0.213
H 1.018 -2.863 3.573
H 1.881 -5.053 4.205
H 4.135 -5.777 3.469
H 5.519 -4.229 2.112
H 4.661 -2.036 1.482
N 1.746 3.838 0.789
C 1.468 3.245 -0.390
O 1.419 2.034 -0.529
C 1.270 4.128 -1.604
I 0.353 6.023 -1.261
H 1.875 3.255 1.599
H 1.653 4.832 0.910
H 0.654 3.591 -2.315
H 2.240 4.346 -2.044
C 1.642 -4.472 -3.405
Ge 2.697 -4.198 -1.782
C 3.872 -2.662 -2.048
C 3.799 -5.778 -1.458
C 1.513 -4.145 -0.204
Se 0.435 -2.591 0.333
C -0.262 -2.299 -1.444
H 2.275 -4.919 -4.173
H 1.248 -3.534 -3.797
H 0.806 -5.147 -3.220
H 4.448 -2.835 -2.959
H 4.568 -2.562 -1.218
H 3.326 -1.728 -2.167
H 4.504 -5.928 -2.277
H 3.181 -6.672 -1.370
H 4.362 -5.656 -0.533
H 2.086 -4.421 0.681
H 0.772 -4.937 -0.356
H 0.564 -2.017 -2.093
H -1.008 -1.511 -1.400
H -0.719 -3.231 -1.773
*
```

Molecular formula: C22H20FN2O8S2
Method: DFT, the ωB97M-V functional and the def2-TZVPD basis

Values from the calculation:
Highest occupied orbital energy: -4.2500 eV

```
! wB97M-V def2-TZVPD RIJCOSX def2/J DEFGRID3
* xyz -1 1
C -6.538 4.595 0.754
C -5.833 5.731 0.372
C -4.730 6.123 1.130

Publié le 13 octobre 2023 Mis à jour le 13 octobre 2023

Nathanael Guigoa, Apostolos Altiparmakisa
a Université Côte d'Azur, CNRS, UMR 7272 Institut de Chimie de Nice, EUR Spectrum, Nice, France

In the core of UN efforts for the fight against climate change is multilateral cooperation. This principle is enshrined also in the ABSolEU project, which is an initiative funded under the EU’s Horizon Europe Programme. It is simultaneously a multilateral collaboration that aims to pave the way to circularity for the ubiquitous plastic ABS, found in durable products from toys and other consumer goods to automotive components, and therefore revolutionise the current state of the art of ABS recycling in Europe and beyond.
ABS is not a single-use plastic. On the contrary, in the world of plastics it can be considered as one of the most durable. ABS is a complex material made of three components:
  • A = Acrylonitrile à provides thermal and chemical stability
  • B = Butadiene à provides toughness and strength
  • S = Styrene à gives the glossy finish
ABS plastic is specifically designed with long-lasting products in mind and is therefore able to withstand long and intense use phases. The proportions of the components (A, B and S) can vary and are adapted according to the properties desired in the resulting ABS. For instance, the composition, the nature of additives and the processing will vary significantly between toys (e.g., Lego bricks), automotive parts and electronic equipment.
As a thermoplastic, ABS can in theory be fully recycled. But the fact that ABS can have different grades and compositions, due to altering the degree of each component, can make recycling difficult. Recycling efforts are moreover often hampered by the presence of additives and fillers. The uncertainty around the presence of such undesirable substances, as well as the difficulty in removing, them generates problems regarding the purity and quality of the resulting secondary plastics. This raises health and safety concerns that limit the reuse of secondary ABS plastics for certain applications. It would be problematic indeed if ABS wastes from old electric and electronic equipment (containing additives such as flame retardant) are recycled into ABS products for children’s toys. In combination with the fact that recycled ABS, like many plastics, loses quality and performance over time, the end-of-life scenario for ABS products is in 85 % of cases landfill or incineration. Only a marginal quantity of ABS from consumer electronics and appliances is today collected, mechanically recycled and sold again for consumer applications. The quality of these streams is also difficult to control, due to the heterogeneous composition of ABS resulting from the diversity of applications and grades applied to such products, and the concerns about harmful additives prevail.
The ABSolEU project is led by Université Côte d’Azur and in particular the Nice Institute of Chemistry, along with the contributions of GREDEG and CNRS. The consortium brings together 10 additional partners, namely LEGO, BIC, Volvo Cars, TRINSEO, TNO, RI.SE, GALOO Plastics, Swedish Institute of Standards, JOTNE and Prospex Institute. Thus, it is implemented by a robust consortium that spans the entire ABS value chain, as it comprises 3 global – and iconic – brand owners, 2 RTOs, an ABS-producing company, a recycler, a traceability solutions company, a standardization institute and a company specialised in stakeholder engagement.
With ABSolEU, the consortium is seeking to lay the first bricks of a sustainable future for ABS plastics. The overarching ambition of ABSolEU is to revolutionise the current state of the art of ABS recycling. Concretely, ABSolEU will realize this ambition through a dual approach of demonstrating technological innovations for ABS recycling, while establishing a supportive framework for the diffusion of the innovative efforts of the project, with the aim of improving methods and standards for characterisation, traceability, and quality assurance of rABS products.
In particular, the ABSolEU project will develop and mature an innovative technology for the physical recycling of waste ABS, providing clean and safe recyclates that are free of additives and contaminants, i.e., ready to be reintroduced into the value chain for high performance products. In addition, project partners will develop new analytical methods for safety and quality assurance, raising awareness about the composition of ABS waste streams, and will provide the scaffolding to support the adoption of physical recycling for ABS and the uptake of ABS recyclates by industry and consumers. To this end, it is expected that by the end of the project they will be able to lay the first bricks of a sustainable future for ABS plastics in Europe and beyond.
The ambition of ABSolEU project is reflected in its six objectives. ABSolEU partners will work towards establishing conditions for a transition to a system where the value of ABS, as material and product, is retained throughout the product lifecycle, delivering economic and environmental benefits – thus paving the way to an increased share of recycled plastics in added value products. The ABSolEU objectives are the following:
  • Engage with value chain stakeholders, citizens, and policy makers
  • Develop and scale up a physical recycling technology capable of eliminating hazardous substances from the ABS waste stream
  • Establish analytical methods to guarantee the safety and quality of ABS recyclates
  • Explore and propose traceability systems for ABS products
  • Diffuse innovation throughout the ABS value chain
[These records of molecules were left in the page by mistake]
<<<
Entry 1:
The following is a DFT calculation (wB97M-V/def2-TZVPD) of a molecular structure, C25H27BMoN6O5STe.

Properties
Total charge   +2
Energy above the lowest of the compared OMol25 structures with the same formula, charge and spin   72.92 kJ/mol
Orbital gap (alpha / beta)   4.75 / 4.74 eV
DFT total energy   -2432.364333 Eh

Last column: natural (NBO) charge in e.
Element x y z (Å)
Mo  0.725  -1.459  -0.827  0.93
B  -2.455  -3.048  -1.847  0.15
N  -1.520  -3.598  -0.728  -0.24
C  -1.786  -4.716  -0.075  0.08
C  -0.935  -4.830  1.025  -0.30
C  -0.155  -3.707  0.975  0.00
N  -0.512  -2.944  -0.106  -0.41
N  -1.882  -1.727  -2.480  -0.24
C  -2.467  -1.209  -3.544  0.08
C  -1.760  -0.087  -3.975  -0.30
C  -0.720  0.016  -3.094  -0.01
N  -0.783  -0.985  -2.161  -0.41
H  -2.517  -3.867  -2.713  -0.01
H  -3.512  -2.781  -1.358  -0.01
H  -2.580  -5.359  -0.410  0.26
H  -0.905  -5.618  1.752  0.27
H  0.644  -3.399  1.632  0.24
H  -3.352  -1.669  -3.943  0.26
H  -1.973  0.541  -4.818  0.27
H  0.091  0.725  -3.085  0.25
O  1.275  -0.052  2.396  -0.53
C  2.020  -0.885  1.972  0.81
O  1.619  -1.477  0.720  -0.59
C  3.262  -1.428  2.473  -0.24
C  4.161  -2.080  1.620  -0.12
C  5.389  -2.533  2.083  -0.27
C  5.654  -2.331  3.422  0.32
O  6.743  -2.691  4.097  -0.43
C  6.542  -2.286  5.459  0.22
O  5.269  -1.646  5.525  -0.46
C  4.750  -1.690  4.283  0.30
C  3.550  -1.211  3.843  -0.21
H  3.908  -2.220  0.575  0.22
H  6.104  -3.017  1.439  0.25
H  7.326  -1.578  5.737  0.19
H  6.540  -3.176  6.096  0.19
H  2.855  -0.704  4.493  0.26
C  -0.887  3.393  -3.470  -0.62
C  -0.370  4.424  -2.478  -0.41
C  0.601  3.844  -1.461  -0.22
N  -0.091  2.969  -0.512  -0.51
C  0.148  1.718  -0.238  0.41
S  1.491  0.901  -0.999  0.01
N  -0.610  1.021  0.655  -0.72
C  -1.766  1.528  1.390  0.68
O  -1.763  1.363  2.573  -0.47
C  -2.851  2.152  0.613  -0.23
C  -3.066  1.846  -0.732  -0.21
C  -4.137  2.411  -1.401  -0.16
C  -4.987  3.284  -0.732  -0.17
C  -4.778  3.586  0.607  -0.20
C  -3.717  3.014  1.288  -0.13
H  -1.545  3.858  -4.200  0.24
H  -1.458  2.613  -2.967  0.20
H  -0.065  2.930  -4.016  0.20
H  -1.206  4.893  -1.953  0.22
H  0.153  5.226  -3.000  0.24
H  1.071  4.632  -0.871  0.24
H  1.392  3.267  -1.944  0.22
H  -0.858  3.409  -0.005  0.44
H  -0.046  0.444  1.293  0.45
H  -2.419  1.144  -1.244  0.21
H  -4.318  2.168  -2.437  0.22
H  -5.823  3.724  -1.256  0.24
H  -5.447  4.258  1.122  0.24
H  -3.548  3.223  2.333  0.25
Te  2.289  -2.515  -2.409  0.59

---

Entry 2:
The following is a DFT calculation (wB97M-V/def2-TZVPD) of 3 unconnected molecules or ions with the total composition C25H27BrN3O7P2S.

Properties
Total charge   +1
Orbital gap   8.48 eV
DFT total energy   -5314.388720 Eh

Last column: natural (NBO) charge in e.
Element x y z (Å)
C  -3.807  -2.660  1.573  -0.64
C  -3.977  -3.965  2.381  -0.07
O  -2.758  -4.600  2.746  -0.53
C  -2.088  -3.918  3.799  -0.08
C  -0.826  -3.290  3.149  -0.10
O  -0.240  -2.292  3.968  -0.52
C  1.042  -1.880  3.511  -0.12
>>>
[Back to the page]
  • Promote a supportive framework for ABS recycling through standardisation
Finally, ABSolEU is in line with the 2030 Agenda for Sustainable Development, adopted by the UN Member States in 2015. In particular, the tasks and activities of the project aim to contribute directly to the following Sustainable Development Goals (SDGs):
SDG 9, by contributing to the development of resilient infrastructure of plastic production and reuse, promote inclusive and sustainable industrialization and foster innovation around plastic.
SDG12, by working for the development of innovative and sustainable consumption and production patterns for ABS plastics.
SDG13, by taking urgent action to combat climate change and its impacts through its methodology for plastic waste management, treatment and recycling.
ABSolEU indirectly contributes to SDGs 4 and 17, as it will raise awareness among the academic and scientific communities about ABS plastic recycling, and the products generated within the project’s timeline will constitute valuable educational materials that could be used by academic institutions and research centres in Europe and beyond, reinforcing education; at the same time it constitutes a global partnership that focuses on a multi-stakeholder approach and the promotion of sciences and technology.